Foreshore plants and animals
Banksia integrifolia subsp. integrifolia
The iconic coastal banksia is a real workhorse, growing in several vegetation communities, including grassy coastal dunes and dry eucalyptus forests. Its shape can change according to the condition it is growing in, from dense shrubs with small leaves on exposed frontal dunes to large (up to 20 m) spreading trees in more protected areas.
While regarded as tricky to grow by some, and sensitive to phosphorous fertilisers, the coastal banksia can be a great addition to a free-draining garden. Its showy, large, yellow flowers, glossy leaves and gnarled bark and structure make it a wonderful feature tree. And the native bird and animals that come to eat both the flowers and woody seeds are a fabulous addition to your garden or park.
Plant me instead of umbrella tree, broad leaf pepper.
Acronychia imperforata
Tough as old boots, beach acronychia grows from the front of the secondary dune, right though the protected swales and hind dunes and is often found in patches of littoral rainforest. It grows smaller and denser, shaped by the wind in exposed areas and taller (up to 15 m) and more open in the protected hind dune. The creamy colour flowers attract butterflies and other insects and the pale-yellow fruit is enjoyed by many native bird and animals.
The glossy dense leaves and 4 to 6 metre spread means that beach acronychia can be a valuable addition to a coastal free draining garden. It's adaptability when growing wild is reflected by its adaptability as a garden plant - while it can grow as an open spreading tree, when it is planted and pruned closely it will happily grow as a hedge.
Plant me instead of umbrella tree, broad leaf pepper.
Archontophoenix cunninghamiana
A slender, straight growing palm that grows to 25 metres in the protected hind dune swales, in creeklines and littoral rainforest. The large bright green fronds grow up to 4 metres long and are slightly paler underneath, nowhere near as pale as the underside of non-local alexander palms. The large panicles hold masses of pale purple, scented flowers that attract native bees. Later, small, round, red fruit attracts bird and possums.
Piccabeens palms happily grow in many different soil types where there is a bit of moisture and protection and can be a spectacular group or single planting in a garden. The fronds drop off the trunk themselves, making maintenance in a garden a bit easier. The autumn flowers attract pollinators to your garden, and the red fruits can be a useful winter food source for birds, bats and animals.
Plant me instead of alexander palm and cocas palm.
Casuarina equisitifolia var. incana
~~~
C43H39Cl3N2O2P2Pt | ωB97M-V/def2-TZVPD

Its LUMO energy (spin up / spin down) is -0.259 / -0.259 Eh. The HOMO-LUMO gap (spin up / spin down) comes out at 0.2265 / 0.2265 hartree. Its total charge is +2. The HOMO energy (spin up / spin down) is -0.486 / -0.486 Ha.

Element x y z (Å)
Pt1 0.2547 -0.1440 -0.8661
C1 2.0247 2.9773 0.2110
C2 0.6312 2.6476 0.7586
P1 0.3162 0.8963 1.0858
C3 1.5237 0.3426 2.2913
C4 1.9292 1.2171 3.3033
C5 2.8401 0.7908 4.2570
C6 3.3472 -0.5022 4.2095
C7 2.9292 -1.3814 3.2198
C8 2.0170 -0.9603 2.2628
C9 -1.3043 0.8255 1.8599
C10 -1.4810 0.3001 3.1386
C11 -2.7536 0.2435 3.6910
C12 -3.8450 0.7078 2.9709
C13 -3.6734 1.2191 1.6886
C14 -2.4095 1.2663 1.1273
C15 2.2132 2.7261 -1.2945
P2 3.2053 1.3763 -2.0627
C16 2.4516 -0.2895 -1.6042
C17 1.6257 -0.8833 -2.6135
C18 1.3137 -2.2245 -2.5856
C19 1.8992 -3.0706 -1.6180
C20 2.7601 -2.5509 -0.6872
C21 3.0219 -1.1732 -0.6704
C22 4.8069 1.3640 -1.1832
C23 5.9216 1.4262 -2.0208
C24 7.2103 1.4174 -1.4987
C25 7.4021 1.3477 -0.1299
C26 6.3052 1.2820 0.7219
C27 5.0218 1.2888 0.2010
H1 2.7774 2.4655 0.8020
H2 2.1867 4.0395 0.3991
H3 -0.1568 2.9851 0.0794
H4 0.4675 3.1622 1.7091
H5 1.5371 2.2238 3.3615
H6 3.1510 1.4684 5.0408
H7 4.0645 -0.8259 4.9523
H8 3.3120 -2.3936 3.1963
H9 1.6726 -1.6458 1.5001
H10 -0.6317 -0.0544 3.7092
H11 -2.8894 -0.1538 4.6880
H12 -4.8334 0.6753 3.4120
H13 -4.5251 1.5804 1.1265
H14 -2.2859 1.6374 0.1154
H15 2.7127 3.5947 -1.7345
H16 1.2422 2.6752 -1.7987
H17 1.3319 -0.2798 -3.4657
H18 0.6760 -2.6377 -3.3563
H19 1.6869 -4.1324 -1.6314
H20 3.2357 -3.1991 0.0370
H21 3.7226 -0.7850 0.0532
H22 5.7767 1.4911 -3.0925
H23 8.0610 1.4692 -2.1651
H24 8.4043 1.3439 0.2784
H25 6.4528 1.2272 1.7929
H26 4.1911 1.2156 0.8915
C28 -4.9827 -1.8207 1.0418
O1 -4.2791 -1.7837 -0.2022
C29 -4.2809 -0.6318 -0.9038
C30 -4.8045 0.5747 -0.4420
C31 -4.8107 1.6951 -1.2597
C32 -4.2961 1.6360 -2.5494
C33 -3.7702 0.4424 -3.0075
C34 -3.7515 -0.6793 -2.1918
N1 -3.3326 -1.9122 -2.7879
C35 -2.8168 -3.0024 -2.2925
C36 -2.1859 -3.2353 -1.0532
C37 -2.1041 -4.5903 -0.6290
C38 -1.5558 -4.9260 0.5749
C39 -1.0565 -3.8862 1.3874
C40 -1.0758 -2.5788 0.9673
C41 -1.6051 -2.2204 -0.2825
O2 -1.5652 -1.0008 -0.7935
H27 -4.9521 -2.8545 1.3701
H28 -6.0183 -1.5068 0.9107
H29 -4.4868 -1.1875 1.7799
H30 -5.2343 0.6277 0.5467
H31 -5.2445 2.6161 -0.8928
H32 -4.3248 2.5018 -3.1962
H33 -3.3766 0.3686 -4.0156
H34 -3.6074 -1.9890 -3.7602
H35 -2.8934 -3.8532 -2.9640
H36 -2.5230 -5.3592 -1.2683
H37 -1.5246 -5.9538 0.9057
H38 -0.6432 -4.1230 2.3611
H39 -0.6897 -1.7859 1.5949
Cl1 -3.1129 4.1475 -1.5522
C42 -2.0099 3.8373 -2.8906
Cl2 -2.8451 3.8908 -4.4284
Cl3 -0.6711 4.9844 -2.8556
C43 -1.4414 2.4819 -2.7182
N2 -0.9728 1.4472 -2.5677

---

C43H39N7O4P2S2Zr | ωB97M-V/def2-TZVPD

Its LUMO energy is -0.016 Eh. The HOMO-LUMO gap comes out at 0.2096 hartree. Its total charge is 0. The HOMO energy is -0.225 Ha.

Element x y z (Å)
Zr1 -0.8624 1.0138 -0.5955
S1 -1.8491 -0.4533 1.7996
P1 -0.5912 -1.5225 0.6281
C1 0.6353 -0.3844 0.2476
~~~
[Back to the text]
The grey green weeping foliage and dark grey trunk of coastal she-oaks are an iconic part of Noosa’s coastal look and feel. These are the trees that venture closest to active coastal foreshores and take the brunt of fierce storms and coastal erosion. Coastal she-oak reduce the impacts of high winds and storm surges by slowing wind and water and holding the foredunes together. They also help protect the vegetation behind then from salt spray and fierce winds.
The coastal she-oak grows to about 10 meters and can be a great addition to a free-draining coastal garden, especially where salt is a concern. The grey-green needles frame views beautifully and the sighing sound of the wind blowing through them is the sound of the Australian coast. Black cockatoos love the seeds in the tough woody cones. They self-mulch, so plant them in a garden bed where the thick layer of needles will work for you.
Plant me instead of slash pine
Callitris columellaris
Another workhorse plant, Bribie Island pine grows in several vegetation communities, including dune forests, range woodlands and eucalypt forests, and in all Australian states except Tasmania. Perhaps as a result of its wide distribution and forestry use, it has at least 20 common names, but is best known as the Bribie Island Pine in SEQ. Growing up to 30 metres in protected areas, the bright green, cypress-like foliage provides fine broken shade and works as a windbreak. The small round cones on the female trees are treasured as a food source by small parrots and cockatoos.
Highly adaptable, the Bribie Island pine will thrive in free draining soil anywhere except the most exposed coastal sites. The dark grey furrowed bark, beautiful foliage and open layered habitat can make a spectacular specimen tree in an open lawn or can work as a hedge in a large garden if more closely planted and pruned.
Plant me instead of slash pine and exotic cypress
Banksia spinulosa var. spinulosa
A shrub that grows up to 3 metres, the large yellow spike flowers are both spectacular to look at in the garden and for attracting birds. It grows in sand on dunes and nearby eucalypt woodland and forest in scattered pockets along the East Coast, including here in Noosa. While it is slow growing, it can take a heavy pruning, and will regrow reliably back from its ligno-tuber.
Grow me instead of coral berry
Austromyrtus dulcis
=====
(1)
{
  "formula": "C41H59BN12S2SeTl",
  "method": "ωB97M-V with the def2-TZVPD basis set",
  "elements": ["Tl", "C", "C", "C", "C", "C", "C", "C", "C", "C", "N", "N", "B", "N", "N", "C", "C", "C", "C", "C", "C", "C", "C", "C", "N", "N", "C", "C", "C", "C", "C", "C", "C", "C", "C", "H", "H", "H", "H", "H", "H", "H", "H", "H", "H", "H", "H", "H", "H", "H", "H", "H", "H", "H", "H", "H", "H", "H", "H", "H", "H", "H", "H", "H", "H", "H", "H", "H", "H", "H", "H", "H", "H", "H", "H", "H", "H", "H", "H", "H", "H", "C", "N", "C", "C", "N", "C", "S", "C", "C", "C", "C", "C", "N", "H", "H", "H", "H", "H", "H", "H", "H", "H", "Se", "C", "N", "S", "C", "N", "C", "C", "C", "N", "H", "H", "H", "H"],
=====
Another widely distributed plant that grows happily in free draining soils from the dunes to open forest. A small shrub growing to about 1 metre high but can easily spread more than a metre widthways in the right conditions. The pinky-bronze new growth on its attractive small leaf foliage, masses of small pinky-white flowers and purple and white fruits make this a highly attractive addition to all but the most exposed free-draining gardens. It will thicken up with judicious pruning.
The flowers attract nectar eating insects and birds and the juicy fruits attract a range of native birds and animals.
Grow me instead of Brazilian cherry
Ricinocarpus pinifolius
Growing in dunes and coastal heath to open eucalypt forest, the massed white flower display in spring is spectacular. This beautiful display is long lasting and well worth the space in a free draining sand garden. It grows to about 2 metres and attracts pollinators to your gardn.
Grow me instead of Indian hawthorn
Photo courtesy of Coolum Native Nursery
Hovea acutifolia
A perennial small shrub that grows in sun and light shade in free draining forest margins. While foliage is nondescript and form can be a little sparse, the massed purple pea flowers in spring more than make up for it. Try grouping it for more impact or use it for splashes of spring colour. If you get the conditions in your garden right, purple pea bush will happily self-seed to keep your display going year after year. The bright purple flowers and hard pea pod seeds attract native bees and parrots to your garden.
Grow me instead of lantana
Understory plants
Zoysia macrantha
Prickly couch is native to much of eastern coastal Australia and grows happily in exposed areas of the dunes. Salt tolerant, exposure tolerant, and handles being buried by sand, prickly couch is outstanding at holding surface sand in very harsh conditions,
A select form of native prickly couch has been developed as a turf grass and is now widely available - there are a couple of non-native zoysias used for turf so make sure you get the right one. The turf select form is soft and dense under-foot and handles drought and salt much better than many other turf species.
Grow me instead of Queensland Blue Couch, bent grass, kikuyu, non-native zoysia
Davallia pyxidate
An epiphytic fern that grows in cracks in rocks, on trees or in the baskets of other larger epiphytic ferns. It is named after the brown furry rhizomes (or underground stems) that can look like a hare’s foot and protrude several centimetres from tis growing surface. The glossy green lacy fronds grow to approximately a metre high. It is very low maintenance in a sheltered spot and does great in a hanging basket or indoors.
Grow me instead of asparagus fern.
Photo courtesy of Coolum Native Nursery
Dianella caerulea
Widely available, and with many select forms, flax lily will happily grow in many gardens except for the most exposed. Tufts of strappy, dark-green leaves up to 1.5m are offset by the beautiful blue flowers and rich purple-blue fruits. These fruits are highly attractive to many native birds and animals – I’ve even caught the resident water dragon climbing up on garden furniture to get to them. They are easy to grow, require little maintenance when established and will happily self-seed if conditions are right.
Grow me instead of purple joyweed
Photo courtesy of Coolum Community Native Nursery
Dianella congesta
The Beach flax lily has paler blue flowers and fruit than the common flax lily, and is not as widely available, but is more able to handle seaside conditions. The fruits are just as attractive to native animals and birds. They are easy to grow, require little maintenance when established and will happily self-seed if conditions are right.
Grow me instead of mother of millions
Carpobrotus glaucescens
With only spinifex and a couple of vines growing closer to the sea, pigface is a vital foredune sand stabiliser. With interesting fleshy foliage and brightly purple. It happily grows in a range of free draining gardens and handles even extremely exposed and salty positions. Extremely hardy, they need little maintenance and will spread from seed and shoot if conditions are right. It is widely available - look for several select forms with interesting foliage and flower colours.
Grow me instead of Singapore Daisy
Scaevola calendulacea
A found in the foredune forb-lands, the slightly fleshy lobes leaves set off the pretty blue fan flowers. The juicy purple fruit attracts native animals. It will thrive in many free draining gardens and handle tough seaside conditions. Look for select forms with larger, brighter flowers or enjoy the subtle beauty of the original.
Grow me instead of asparagus fern
Butorides striatus
A hunched, small heron with dark grey back and grey to reddy grey underside. Black cap with droopy crest, black and white streaks on throat and sharp, long yellow and grey beak. Their short yellow legs turn orange during the breeding season. They flick their short, stubby tail as they walk.
They live on foreshores, estuaries and mangroves, hunting for fish, crabs, crustaceans and insects in the shallows all year round. Striated Heron sometimes drop a leaf or feather onto the surface of the water and snatch fish that come to investigate.
Striated Heron build a stick platform low in trees or shrubs and occasionally on the ground, which makes them vulnerable to feral and domestic predators. They lay 2 to 5 pale-blue 3.6cm long eggs. Both parents share nestbuilding, incubation and care responsibilities and may raise two clutches each breeding season.
Haliastur indus
A medium sized raptor often seen above dunes and beaches, larger rivers and some wetlands. It’s bright white head and chest contrasts strongly with the reddish brown body and wings and is unmistakable.
They mostly feed on dead animals, fish and insects, but may also fish for live fish in the sea or harass other fish-eating birds and steal their prey.
Brahminy Kites breed from August to October in SEQ, and then make a stick bowl nest in coastal trees, often mangroves. They lay 2 grey-white 5cm eggs. Both parents share nest building and feeding but it looks like only the female incubates the eggs.
Acanthorhynchus tenuirostris
A small (15cm) bird with grey body, white throat with reddish patch, reddish and cream underside. Its distinctive thin, long, curved beak cause some people to call it the Australian Hummingbird, although it doesn’t have the flight and metabolic capabilities of true hummingbirds.
Eastern Spinebills live in forests heaths and mangroves and feed on nectar and insects often taken on the wing. While they readily feed on open flowers like grevilleas, their long beak allows them to feed on tube flowers that many other birds or mammals can’t access.
Eastern spinebills tend to live in one area all year around but may move between local lowlands and mountains. They make a small, neat cup of spiderweb, bark and twigs 1 to 45 metres off the ground. The female does the nestbuilding and incubation and both parents share feeding duties.
Varanus varius
A large lizard (up to 2 metres) with grey and black covering body, palish yellow spots and stripes.
Most commonly found in forests and woodlands. Spend a lot of their time on the ground but will quickly scuttle up a tree when you come close. They tuck themselves in tree hollows and hollowed stumps to hide from extreme weather conditions.
Lace monitors breed in the season of spring. During this season, the males become extremely aggressive towards other males.
Philemon corniculatus
A medium sized bird with black head bare of feathers and silver/grey body, found in forest clearings, golf courses, parks and gardens.
They eat nectar, fruit, insects and other invertebrates and occasionally eggs or baby birds. Noisy friarbirds breed in the months between July and January and build a large, deep cup shaped nest using bark and grass.
Pandion cristatus
Dark brown feathers covering its wings and small parts of its face and chest, the legs, body, and face are covered in white feathers. Length 50-65 cm, wingspan 45-170 cm.
Ospreys live near water where large numbers of fish are present. They are regularly found around large lakes, reservoirs and rivers. They are a diurnal species, ranging out from their nest or perch over water bodies during daylight.
Ospreys breed between September-October in southern Australia, April-July in northern Australia and June–August in Queensland.
Merops ornatus
A striking medium bird with green and blue feathers covering the body, orange, yellow, green and black head and distinctive tail streamers. They are found in forest, woodlands, wetlands, heath, watercourses, lightly timbered areas, farms, playing fields, parks and gardens.
Rainbow bee-eaters are very sociable birds and roost in large groups in the dense undergrowth or in large trees outside of the breeding season. Breeding season is before and after the rainy season in the north, and from November to January in the south. They often make nest hollows in the ground, on an embankment or a cutting.
For more information on foreshore animals:
For more information on foreshore plants: